Saturday, November 18, 2006

Will someone please think of the children?   posted by p-ter @ 11/18/2006 09:44:00 AM

Via AL Daily, I came across this somewhat bizarre essay on sociobiology in the Chronicle of Higher Education. It's by a professor of psychology, and the premise, ostenibly, is how evolutionary psychology should be taught in our schools to keep it from corrupting our youth. His solution:
Preferable, I submit, is to structure the teaching of sociobiology along the lines of sex education: Teach what we know, but do so in age-appropriate stages. Just as we would not bombard kindergartners with the details of condom use, we probably ought not instruct preteens in the finer points of sociobiology, especially since many of those are hidden even to those expected to do the teaching.
I can only assume this is tongue-in-cheek, or perhaps our dear professor hasn't been to a middle school biology class in a while--if he had, he would have noticed that evolution itself is not taught (or not taught well) in our schools. Forget the "finer points of sociobiology"; I'd be happy with the general points of evolution! It's like arguing whether the proper role of a garnish in drink-mixing should be taught in home ec; it's so far out of left field it leaves one puzzled.

~~~
Record 1
# LaZnTc | Alexandria via LeMat-Bulk | GGA-PBE | relaxed
data_LaZnTc
_symmetry_space_group_name_H-M 'P -6 m 2'
_symmetry_Int_Tables_number 187
_symmetry_space_group_name_Hall 'P -6 2'
_cell_length_a 4.4329
_cell_length_b 4.4329
_cell_length_c 3.8947
_cell_angle_alpha 90.00
_cell_angle_beta 90.00
_cell_angle_gamma 120.00
loop_
_atom_site_label
_atom_site_type_symbol
_atom_site_fract_x
_atom_site_fract_y
_atom_site_fract_z
La1 La 0.0000 0.0000 0.0000
Zn1 Zn 0.3333 0.6667 0.5000
Tc1 Tc 0.6667 0.3333 0.5000
# Calculated volume ... 66 Å³/cell
# Energy above the lowest structure with this stoichiometry ... 237 meV per atom
# DOS(E_F) ... 1.00 states/eV per atom



Record 2
# Y2Be | Alexandria via LeMat-Bulk | GGA-PBE | relaxed
data_Y2Be
_symmetry_space_group_name_H-M 'C 1 2/m 1'
_symmetry_Int_Tables_number 12
_cell_length_a 13.707
_cell_length_b 3.647
_cell_length_c 6.751
_cell_angle_alpha 90.00
_cell_angle_beta 115.86
_cell_angle_gamma 90.00
loop_
_symmetry_equiv_pos_as_xyz
'x,y,z'
'-x,-y,-z'
'-x,y,-z'
'x,-y,z'
'x+1/2,y+1/2,z'
'-x+1/2,-y+1/2,-z'
'-x+1/2,y+1/2,-z'
'x+1/2,-y+1/2,z'
loop_
_atom_site_label
_atom_site_type_symbol
_atom_site_fract_x
_atom_site_fract_y
_atom_site_fract_z
Y1 Y 0.014 0.000 0.266
Y2 Y 0.218 0.500 0.730
Be1 Be 0.105 0.500 0.078
# Calculated volume ... 304 Å³/cell
# Energy above the lowest structure with this stoichiometry ... 83 meV per atom
# DOS(E_F) ... 1.22 states/eV per atom



Record 3
# Tb12Pr3Zn | Alexandria via LeMat-Bulk | GGA-PBE | relaxed
data_Tb12Pr3Zn
_symmetry_space_group_name_H-M 'P 4/m m m'
_symmetry_Int_Tables_number 123
_symmetry_space_group_name_Hall '-P 4 2'
_cell_length_a 5.008
_cell_length_b 5.008
_cell_length_c 20.121
_cell_angle_alpha 90.00
_cell_angle_beta 90.00
_cell_angle_gamma 90.00
loop_
_atom_site_label
_atom_site_type_symbol
_atom_site_fract_x
_atom_site_fract_y
_atom_site_fract_z
Tb1 Tb 0.000 0.000 0.000
Tb2 Tb 0.000 0.000 0.240
Tb3 Tb 0.000 0.000 0.500
Tb4 Tb 0.000 0.500 0.115
Tb5 Tb 0.000 0.500 0.371
Pr1 Pr 0.500 0.500 0.244
Pr2 Pr 0.500 0.500 0.500
Zn1 Zn 0.500 0.500 0.000
# DFT total energy ... -4.43 eV/atom
# Calculated volume ... 505 Å³/cell
# DOS(E_F) ... 1.37 states/eV per atom



Record 4
# TbSm2NpO8 | Alexandria via LeMat-Bulk | GGA-PBE | relaxed
data_TbSm2NpO8
_symmetry_space_group_name_H-M 'P 1 2/m 1'
_symmetry_Int_Tables_number 10
_cell_length_a 3.911
_cell_length_b 7.531
_cell_length_c 5.490
_cell_angle_alpha 90.00
_cell_angle_beta 94.15
_cell_angle_gamma 90.00
loop_
_symmetry_equiv_pos_as_xyz
'x,y,z'
'-x,-y,-z'
'-x,y,-z'
'x,-y,z'
loop_
_atom_site_label
_atom_site_type_symbol
_atom_site_fract_x
_atom_site_fract_y
_atom_site_fract_z
Tb1 Tb 0.000 0.000 0.000
Sm1 Sm 0.500 0.242 0.500
Np1 Np 0.000 0.500 0.000
O1 O 0.030 0.279 0.768
O2 O 0.451 0.500 0.219
O3 O 0.499 0.000 0.249
# Calculated volume ... 161 Å³/cell
# DOS(E_F) ... 0.06 states/eV per atom
# Raw formation energy ... -3.158 eV/atom



Record 5
# CaTlB2 | Alexandria via LeMat-Bulk | GGA-PBE | relaxed
data_CaTlB2
~~~
The records of crystals stop here =
Plus, even though the professor seems to have read some sociobiology, he parrots some of the classic misconceptions--he talks about selfishness as if it were uniformly beneficial in an evolutionary sense:
If the fundamental nature of living things - human beings included - is to joust endlessly with each other, each seeking to get ahead, then we're all mired in selfishness - a dark vision indeed.
He corrects this logic later, but even in doing so shows some odd assumptions:
For one thing, a deeper grasp of the evolutionary biology of altruism reveals that even though selfishness may well underlie much of our behavior, it is often achieved, paradoxically, via acts of altruism, as when individuals behave in a manner that enhances the ultimate success of genetic relatives. Here, selfishness at the level of genes produces altruism at the level of bodies. Ditto for "reciprocity," which, as Robert Trivers elegantly demonstrated more than three decades ago, can produce seemingly altruistic exchanges and moral obligations even between nonrelatives. Yet genetic selfishness underlies it all.
Unlike Richard Dawkins, who always made it clear that talking about genes as "selfish" was only a shortcut to predicting biological phenomenon, the author here seems to think that genes actually are selfish, and that this somehow has moral implications!